



[ bemoaning ]

v.悲叹,哀叹, 叹息, 为 ... 惋惜, 认为遗憾


He often bemoaned his sad fate.


He always bemoans the shortage of funds for research.



动词过去式: bemoaned | 动词过去分词: bemoaned | 动词现在分词: bemoaning | 动词第三人称单数: bemoans |



动词过去式: bemoaned | 动词过去分词: bemoaned | 动词现在分词: bemoaning | 动词第三人称单数: bemoans |


动词 bemoan:

regret strongly

同义词:deplore, lament, bewail, bemoan


1. All ye that are about him, bemoan him; and all ye that know his name, say, How is the strong staff broken, and the beautiful rod!

### Calculated molecules, kept here for reference
'''
(1)
DFT (the ωB97M-V functional and the def2-TZVPD basis) results for a cluster of 2 separate species, C10H10N2O2 in total at a distorted geometry.

Each line ends with the Mulliken charge.
CARTESIAN COORDINATES (ANGSTROEM)
O: 2.34758 -2.55969 -0.24215  -0.56
C: 2.41064 -1.41064 -0.70434  0.55
C: 2.98745 -0.24689 0.04548  -0.43
C: 3.19020 0.97421 -0.77651  -0.25
N: 2.72068 1.14634 -2.16205  -0.30
C: 1.52899 0.38336 -2.41733  0.34
O: 0.64283 0.61753 -3.16823  -0.51
N: 1.52309 -0.99226 -1.84557  -0.17
H: 3.47145 -0.44626 1.04601  0.35
H: 3.51521 1.88768 -0.34778  0.34
H: 2.38652 2.33037 -2.07816  0.38
H: 0.65404 -1.47754 -2.04128  0.26
C: -1.37527 0.91020 1.70179  -0.02
C: -1.41187 -0.30270 2.35560  -0.51
C: -2.22287 -1.40954 1.76167  -0.26
C: -3.20263 -0.90692 0.77689  -0.12
C: -3.26259 0.38471 0.30650  -0.15
C: -2.31159 1.32451 0.73013  -0.49
H: -0.76477 1.75482 2.20113  0.26
H: -0.46443 -0.69207 2.94135  0.22
H: -2.09579 -2.54277 2.00982  0.30
H: -3.99258 -1.47644 -0.02233  0.09
H: -4.01768 0.36538 -0.39872  0.39
H: -2.25663 2.38462 0.32805  0.29

Force components x, y, z for each atom (eV/Å):
O 0.4721 2.5829 -1.5581
C -3.0558 -1.0193 0.9141
C 1.7721 3.2751 -3.9092
C -1.7569 -4.9140 1.7863
N -2.1243 4.0627 3.4635
C 0.7034 -4.0119 0.7141
O -0.4417 1.5335 -0.5558
N 2.8673 2.3011 1.3176
H -0.7534 0.5595 -1.3942
H 0.7556 0.4407 0.3513
H 1.1294 -4.6166 -1.2192
H 0.3858 -0.1882 0.1244
C -0.3389 2.9841 1.4132
C 1.3330 -4.9556 -1.5478
C -0.8238 2.0110 -0.6907
C -0.1958 -3.3425 -0.6859
C 2.2460 0.1208 1.7140
C -0.1064 0.5928 -0.2349
H -0.5848 -1.5649 -1.1777
H -2.2785 1.2360 -0.6256
H -0.3306 2.5111 -0.3287
H 2.4241 0.1691 3.2013
H -1.1345 1.7859 -1.6011
H -0.1633 -1.5533 0.5293

Summary:
SMILES: O=c1cc[nH]c(=O)[nH]1.c1ccccc1
total energy: -646.91244 Ha
highest occupied orbital energy: -9.2 eV
frontier orbital gap: 9.02 eV
relative energy (zero: lowest compared OMol25 entry of this formula, charge and spin): 5.1576 eV


(2)
DFT (the ωB97M-V functional and the def2-TZVPD basis) results for a cluster of 4 separate species, C20H44NO4PS3 in total at a distorted geometry.

Each line ends with the Mulliken charge.
CARTESIAN COORDINATES (ANGSTROEM)
C: 8.67417 -0.15339 -0.42180  -0.81
C: 8.86733 0.89108 -1.53284  -0.42
C: 7.57610 1.59944 -1.99201  -0.89
C: 6.35604 0.66567 -2.17114  -0.93
N: 6.71996 -0.61991 -2.80723  -0.41
P: 5.32570 -1.77691 -2.65436  0.42
C: 3.89391 -3.01828 -2.46716  -1.15
C: 2.91341 -2.70792 -1.31888  0.34
C: 3.47947 -3.03875 0.07566  -1.35
O: 2.53483 -1.32641 -1.25159  -0.29
C: 1.65753 -0.94686 -2.31782  -0.99
C: 0.38251 -0.40222 -1.67666  0.77
C: 0.54736 0.65300 -0.80500  -0.48
C: -0.54646 1.18020 -0.15192  -0.92
C: -1.78178 0.63236 -0.40874  -0.21
C: -1.95742 -0.40925 -1.26840  -1.08
C: -0.85516 -0.93996 -1.92266  -0.44
H: 7.81176 -0.80592 -0.56096  0.08
H: 9.55883 -0.80556 -0.43176  0.31
H: 8.66419 0.28901 0.58082  0.29
H: 9.52486 1.66666 -1.11923  0.34
H: 9.33669 0.45036 -2.41440  0.30
H: 7.76384 2.03292 -2.98515  0.32
'''
### Here the article continues


2. I have surely heard Ephraim bemoaning himself thus;Thou hast chastised me, and I was chastised, as a bullock unaccustomed to the yoke: turn thou me, and I shall be turned;


3. And it shall come to pass, that all they that look upon thee shall flee from thee, and say, Nineveh is laid waste: who will bemoan her?


4. In July, 22 senior figures from the region, including Vaclav Havel and Lech Walesa, wrote a public letter bemoaning the decline in transatlantic ties.


5. Tonight under a cold moon lies an old head in drunken stupor.Only the plum blossoms in the painted wall remain red.Chasing bygone dreams, Bemoaning daylight is too long.

Inspired me to compose 昔汉花丽少年壮 今霄月冷老头醉 雕墙画中梅不摧 失寻旧梦怨日长 In days of yore when flowers are pretty, men are young & virile.

6. It's a trend that is already familiar to African-America women, many of whom bemoan the fact that there are relatively few college-educated black men to choose from.


7. And while you are bemoaning the fact that there is no market for your silk, Chinese silk goods manufacturers are importing Japanese rayon. Isn't that a curious phenomenon and a handicap to Chinese industry?"


8. This state I oft bemoan; but what's to do? Not to grow old, being human, there's no way.


9. Don't bemoan anything or anyone that you need to leave behind.


10. Meanwhile, pessimists can still bemoan that with a projected 28 approvals for the full year, 2008's looks like another below-average year.


11. 1.Opinion columns bemoan the fanaticism of its youth, the remoteness of its rulers and the power of its clerics.


12. to bemoan the loss of one's job


13. Purists bemoan the corruption of the language.


14. Perhaps in bemoaning their failure to be the ones to exploit these themes, the Chinese are being a bit hard on themselves.


15. The poor man began to bemoan himself,saying,"Is it possible that your Majesty should give no more than this to your brother?


16. They sat bemoaning the fact that no one would give them a chance.


17. She listened to him playing adagio, bemoaning the ghastly deaths and rejoicing over the miraculous survivals


18. Waxman bemoan how predetermined beliefs are jeopardizing scientific freedom, you might think you are in another age or in some struggling new country.


19. You rarely hear these people bemoaning their fate.


20. On the former, Gordon Brown, UK prime minister, turned up in Davos as hypocrite-in-chief, bemoaning the rise of the financial protectionism his own government has been practising.


21. All ye that are about him, bemoan him; and all ye that know his name, say, How is the strong staff broken, and the beautiful rod!


22. 7 And it shall come to pass, that all they that look upon thee shall flee from thee, and say, Nineveh is laid waste: who will bemoan her? whence shall I seek comforters for thee?


23. Galliani went on to bemoan the fact that Serie A cannot compete with the other European leagues in the same way that they used to, especially when it comes to attracting the top players.


24. 6.The other type is simply a martyr, bemoaning his fate.


25. to bemoan against an injustice


26. Wherefore you shall observe, that the more deep and sober sort of politic persons, in their greataess, are ever bemoaning themselves, what a life they lead;chanting a quanta patimur!


27. bemoan one's insignificancy in the face of a great thing;


28. He and Tamitha spent Monday huddled under the blankets, smoking cigarettes and listening to the radio-talk shows and weather reports, all bemoaning the storm.


29. There's no point in bemoaning any failure to act when times were good.The important thing is to take advantage of opportunities now.


30. Bewail the times and pity the people; bemoan the state of the universe and pity the fate of mankind feel sympathy for the world


31. Thus was Carrie's name bandied about in the most frivolous and gay of places, and that also when the little toiler was bemoaning her narrow lot, which was almost inseparable from the early stages of this, her unfolding fate.

嘉莉的名字就这样在这寻欢作乐的轻浮场所被人提起。 与此同时,这小女工正在悲叹自己苦命。 在她正在展开的人生初期,这种悲叹将几乎如影附身地伴随着她。

32. There's no point in bemoaning any failure to act when times were good.


33. Yet those who bemoan the cessation of population growth are thinking back-to-front.


34. While bemoaning his plight he remembers suddenly that the doctor had recommended a more liberal diet.He begs me at once to sit down and make up a menu with plenty of fish and meat.


35. In floor respect, do with natural stone in be afraid of floor tile already bemoan one's inadequacy in the face of a great task durable;


36. He subsequently fell out with Avram Grant after criticising his style of management and bemoaning the loss of Jose Mourinho.


37. " All too often those bemoaning the unfairness of the world are just whining that they're not getting their way.


38. they mainly focused on four aspects: the deep concern over the situation of the State, the bemoaning of their fate, the exclamation of people's life and the glorification of the state situation.


39. The funding agencies are bemoaning the scarcity of young people interested in science when they themselves caused this scarcity by destroying science as a career.


40. I lost some of them and I always bemoan the loss.But I would rather refuse to look for them, because compared to what I really lost, they were rather circumstantial.


41. She is always bemoaning her lot.


42. She was swept with a wave of revulsion for the emptiness of her life. Like other girls in her position, she began to bemoan her fate.


43. The good captain understands this, prepares for every eventuality and does not bemoan the changes that come along.


44. If T-Mac was sitting at home on Tuesday night watching the Celtics put the wraps on a championship, he could have been bemoaning the fact that nobody went out and got him Garnett and Allen.


45. The rich especially the older rich will bemoan the great refuge for secret stashes.


46. Even though I grumble and bemoan my fate from day to day and wish my circumstances were not so modest. I am grateful for life.


47. 23 Creatures in the world all bemoan the changes of life and death.


48. We were bemoaning the fact that authors of popular fiction found it hard to get published and receive any recognition.


49. True, it also throws into relief the incomparable egoism of the prosperous among them. People with no serious cares or worries in the world of course bemoan and upbraid this trifling inconvenience.


50. to bemoan one's fate


51. bemoaning the universe


52. I'm not alone in bemoaning the passage of these cultural artifacts.


53. I have surely heard Ephraim bemoaning himself thus;Thou hast chastised me, and I was chastised, as a bullock unaccustomed to the yoke: turn thou me, and I shall be turned;for thou art the LORD my God.


54. This state I oft bemoan; but what's to do?


55. Many of my contacts bemoan the fact that their on-line consulting in design, photography or whatever, is also taking a downturn in value when paid for in dollars.


56. Wherefore you shall observe, that the more deep and sober sort of politic persons, in their greataess, are ever bemoaning themselves, what a life they lead;


57. The Tao of JunkPundits bemoan our trade deficitwith China.But those container ships aren’t heading home empty.


58. bemoan the shortage of funds for research


59. Also, they don't play on feelings of guilt or force you to bemoan your past lapses.


60. Wherefore you shall observe, that the more deep and sober sort of politic persons, in their greataess, are ever bemoaning themselves, what a life they lead, chanting a quanta patimur!


61. Relax ! Instead of bemoaning the fact that you can't hit with your...shot its power, your dominant hand helps put spin on the ball ....


62. Spruance had been bemoaning the way they had missed the Coral Sea battle


63. Some resent Seattle's gentrification, bemoaning the near-gridlocked traffic and arguing that the city's most interesting neighborhoods have lost their individuality to the property developers.


64. One night at dinner, Rufus, who was one of the best students in our class, was bemoaning the long hours he spent studying.


65. Jacoby is one of a number of writers with new books that bemoan the state of American culture.


66. Some scholars point out that bemoaning the self-involvement of young people is a perennial adult activity. (“The children now love luxury,” an old quotation says.


67. Also, many bemoan that billions are wasted on those showpieces of China's emerging power.


68. Wang Ping: Chilavert's classic shot was a free kick of 60 meters away. It unexpectedly made the Argentinean goalkccper Burgers bemoan his inadequacy in the face of a great task.


69. Be Standby for the Expeditionary, Be Provision for the Reference--Research on the Brilliant SanQu Composer Xue Lundao's World - Bemoaning SanQu in Ming Dynasty


70. Seeing the shatter of the flowers on the ground, a little bemoan feeling appeared.


71. Those who truly treasure the past will not bemoan the passing of the good old days,because days enshrined in memory are never lost,


72. 4.Mourinho was challenged over his right to bemoan his injury misfortune when Valencia can point to list of missing players containing Marchena, Gavilan, Edu, Morientes, Navarro and Baraja.


73. Shortly before that event, she caused controversy with comments bemoaning the influx of Asian golfers to the LPGA Tour.


74. It unexpectedly made the Argentinean goalkeeper Burgers bemoan his inadequacy in the face of a great task.


75. 1 Teachers often bemoan the lack of respect from students.


76. The TD Banknorth Garden, which opened in 1995, has some of the Lakers bemoaning the cold.


77. ’ When we appreciate the blooming flower, a sad mood emerged simultaneously as we bemoan the withering and falling flowers.


78. For thus saith the LORD, Enter not into the house of mourning, neither go to lament nor bemoan them: for I have taken away my peace from this people, saith the LORD, even lovingkindness and mercies.


79. For who shall have pity upon thee, O Jerusalem? or who shall bemoan thee? or who shall go aside to ask how thou doest?


80. For who shall have pity on thee, O Jerusalem? or who shall bemoan thee? or who shall go to pray for thy peace?
